Work order.
Now repeat the rows further down word for word.
File.
┌──
Record 1
Simulated XRD peak list
Compound: Ba3Zn5In2O11
Radiation: Cu Kα X-rays
Structure: a crystal structure in OQMD, relaxed with PBE
Lines closer than 0.1° are merged.

Atomic structure:
```
data_Ba3Zn5In2O11
_chemical_formula_sum 'Ba24 Zn40 In16 O88'
_symmetry_space_group_name_H-M 'F -4 3 m'
_symmetry_Int_Tables_number 216
_symmetry_space_group_name_Hall 'F -4 2 3'
_cell_length_a 13.3952
_cell_length_b 13.3952
_cell_length_c 13.3952
_cell_angle_alpha 90.00
_cell_angle_beta 90.00
_cell_angle_gamma 90.00
loop_
_atom_site_label
_atom_site_fract_x
_atom_site_fract_y
_atom_site_fract_z
_atom_site_occupancy
Ba1 0.0000 0.0000 0.2058 1
Zn1 0.0819 0.2500 0.2500 1
Zn2 0.0831 0.0831 0.4169 1
In1 0.1654 0.1654 0.6654 1
O1 0.0000 0.0000 0.0000 1
O2 0.0000 0.0000 0.5000 1
O3 0.0029 0.1657 0.6657 1
O4 0.1571 0.1571 0.1571 1
O5 0.1673 0.1673 0.8327 1
```

Main lines, in order of rising 2θ (2θ = 15–90°):
2θ (°), Rel. int., (hkl)
29.06, 48, 3 3 1
32.75, 83, 4 2 2
34.80, 100, 3 3 3
38.00, 27, 4 4 0
58.46, 71, 6 6 0
69.87, 22, 7 7 1

Record 2
Simulated XRD peak list
Compound: MgCd2S3
Radiation: Cu Kα X-rays
Structure: a crystal structure in OQMD, relaxed with PBE
Lines closer than 0.1° are merged.

Atomic structure:
```
data_MgCd2S3
_chemical_formula_sum 'Mg4 Cd8 S12'
_symmetry_space_group_name_H-M 'C m c m'
_symmetry_Int_Tables_number 63
_symmetry_space_group_name_Hall '-C 2c 2'
_cell_length_a 3.6833
_cell_length_b 12.8587
_cell_length_c 11.1407
_cell_angle_alpha 90.00
_cell_angle_beta 90.00
_cell_angle_gamma 90.00
loop_
_atom_site_label
_atom_site_fract_x
_atom_site_fract_y
_atom_site_fract_z
_atom_site_occupancy
Mg1 0.0000 0.2181 0.2500 1
Cd1 0.0000 0.0000 0.0000 1
Cd2 0.0000 0.4937 0.2500 1
S1 0.0000 0.1411 0.7500 1
S2 0.0000 0.3696 0.5857 1
```

Main lines, in order of rising 2θ (2θ = 15–90°):
2θ (°), Rel. int., (hkl)
27.75, 24, 0 4 0
29.90, 61, 1 1 2
32.14, 25, 0 0 4
35.10, 28, 0 2 4
35.96, 100, 1 3 2
46.02, 32, 1 5 2

Record 3
Simulated XRD peak list
Compound: Er5Te3Os
Radiation: Cu Kα X-rays
Structure: a crystal structure in OQMD, relaxed with PBE
Lines closer than 0.1° are merged.

Atomic structure:
```
data_Er5Te3Os
_chemical_formula_sum 'Er5 Te3 Os1'
_symmetry_space_group_name_H-M 'P -6 2 m'
_symmetry_Int_Tables_number 189
_symmetry_space_group_name_Hall 'P -6 -2'
_cell_length_a 8.6226
_cell_length_b 8.6226
_cell_length_c 3.7556
_cell_angle_alpha 90.00
_cell_angle_beta 90.00
_cell_angle_gamma 120.00
loop_
_atom_site_label
_atom_site_fract_x
_atom_site_fract_y
_atom_site_fract_z
_atom_site_occupancy
Er1 0.0000 0.2294 0.0000 1
Er2 0.3333 0.6667 0.0000 1
Te1 0.0000 0.5699 0.5000 1
Os1 0.0000 0.0000 0.5000 1
```

Main lines, in order of rising 2θ (2θ = 15–90°):
2θ (°), Rel. int., (hkl)
31.59, 52, 1 1 1
31.70, 64, 2 1 0
33.85, 100, 2 0 1
36.08, 26, 3 0 0
39.96, 57, 2 1 1
59.29, 30, 3 2 1

Record 4
Simulated XRD peak list
Compound: KHfAg3Te4
Radiation: Cu Kα X-rays
Structure: a crystal structure in OQMD, relaxed with PBE
Lines closer than 0.1° are merged.

Atomic structure:
```
data_KHfAg3Te4
_chemical_formula_sum 'K1 Hf1 Ag3 Te4'
_symmetry_space_group_name_H-M 'P -4 3 m'
_symmetry_Int_Tables_number 215
_symmetry_space_group_name_Hall 'P -4 2 3'
_cell_length_a 6.8634
_cell_length_b 6.8634
_cell_length_c 6.8634
_cell_angle_alpha 90.00
_cell_angle_beta 90.00
_cell_angle_gamma 90.00
loop_
_atom_site_label
_atom_site_fract_x
_atom_site_fract_y
_atom_site_fract_z
_atom_site_occupancy
K1 0.0000 0.0000 0.0000 1
Hf1 0.5000 0.5000 0.5000 1
Ag1 0.0000 0.5000 0.5000 1
Te1 0.2706 0.2706 0.2706 1
```

Main lines, in order of rising 2θ (2θ = 15–90°):
2θ (°), Rel. int., (hkl)
22.44, 66, 1 1 1
37.05, 100, 2 2 0
43.74, 29, 3 1 1
47.78, 17, 3 2 0
53.40, 16, 4 0 0
66.77, 30, 4 2 2
└──
Response.
Record 1
Simulated XRD peak list
Compound: Ba3Zn5In2O11
Radiation: Cu Kα X-rays
Structure: a crystal structure in OQMD, relaxed with PBE
Lines closer than 0.1° are merged.

Atomic structure:
```
data_Ba3Zn5In2O11
_chemical_formula_sum 'Ba24 Zn40 In16 O88'
_symmetry_space_group_name_H-M 'F -4 3 m'
_symmetry_Int_Tables_number 216
_symmetry_space_group_name_Hall 'F -4 2 3'
_cell_length_a 13.3952
_cell_length_b 13.3952
_cell_length_c 13.3952
_cell_angle_alpha 90.00
_cell_angle_beta 90.00
_cell_angle_gamma 90.00
loop_
_atom_site_label
_atom_site_fract_x
_atom_site_fract_y
_atom_site_fract_z
_atom_site_occupancy
Ba1 0.0000 0.0000 0.2058 1
Zn1 0.0819 0.2500 0.2500 1
Zn2 0.0831 0.0831 0.4169 1
In1 0.1654 0.1654 0.6654 1
O1 0.0000 0.0000 0.0000 1
O2 0.0000 0.0000 0.5000 1
O3 0.0029 0.1657 0.6657 1
O4 0.1571 0.1571 0.1571 1
O5 0.1673 0.1673 0.8327 1
```

Main lines, in order of rising 2θ (2θ = 15–90°):
2θ (°), Rel. int., (hkl)
29.06, 48, 3 3 1
32.75, 83, 4 2 2
34.80, 100, 3 3 3
38.00, 27, 4 4 0
58.46, 71, 6 6 0
69.87, 22, 7 7 1

Record 2
Simulated XRD peak list
Compound: MgCd2S3
Radiation: Cu Kα X-rays
Structure: a crystal structure in OQMD, relaxed with PBE
Lines closer than 0.1° are merged.

Atomic structure:
```
data_MgCd2S3
_chemical_formula_sum 'Mg4 Cd8 S12'
_symmetry_space_group_name_H-M 'C m c m'
_symmetry_Int_Tables_number 63
_symmetry_space_group_name_Hall '-C 2c 2'
_cell_length_a 3.6833
_cell_length_b 12.8587
_cell_length_c 11.1407
_cell_angle_alpha 90.00
_cell_angle_beta 90.00
_cell_angle_gamma 90.00
loop_
_atom_site_label
_atom_site_fract_x
_atom_site_fract_y
_atom_site_fract_z
_atom_site_occupancy
Mg1 0.0000 0.2181 0.2500 1
Cd1 0.0000 0.0000 0.0000 1
Cd2 0.0000 0.4937 0.2500 1
S1 0.0000 0.1411 0.7500 1
S2 0.0000 0.3696 0.5857 1
```

Main lines, in order of rising 2θ (2θ = 15–90°):
2θ (°), Rel. int., (hkl)
27.75, 24, 0 4 0
29.90, 61, 1 1 2
32.14, 25, 0 0 4
35.10, 28, 0 2 4
35.96, 100, 1 3 2
46.02, 32, 1 5 2

Record 3
Simulated XRD peak list
Compound: Er5Te3Os
Radiation: Cu Kα X-rays
Structure: a crystal structure in OQMD, relaxed with PBE
Lines closer than 0.1° are merged.

Atomic structure:
```
data_Er5Te3Os
_chemical_formula_sum 'Er5 Te3 Os1'
_symmetry_space_group_name_H-M 'P -6 2 m'
_symmetry_Int_Tables_number 189
_symmetry_space_group_name_Hall 'P -6 -2'
_cell_length_a 8.6226
_cell_length_b 8.6226
_cell_length_c 3.7556
_cell_angle_alpha 90.00
_cell_angle_beta 90.00
_cell_angle_gamma 120.00
loop_
_atom_site_label
_atom_site_fract_x
_atom_site_fract_y
_atom_site_fract_z
_atom_site_occupancy
Er1 0.0000 0.2294 0.0000 1
Er2 0.3333 0.6667 0.0000 1
Te1 0.0000 0.5699 0.5000 1
Os1 0.0000 0.0000 0.5000 1
```

Main lines, in order of rising 2θ (2θ = 15–90°):
2θ (°), Rel. int., (hkl)
31.59, 52, 1 1 1
31.70, 64, 2 1 0
33.85, 100, 2 0 1
36.08, 26, 3 0 0
39.96, 57, 2 1 1
59.29, 30, 3 2 1

Record 4
Simulated XRD peak list
Compound: KHfAg3Te4
Radiation: Cu Kα X-rays
Structure: a crystal structure in OQMD, relaxed with PBE
Lines closer than 0.1° are merged.

Atomic structure:
```
data_KHfAg3Te4
_chemical_formula_sum 'K1 Hf1 Ag3 Te4'
_symmetry_space_group_name_H-M 'P -4 3 m'
_symmetry_Int_Tables_number 215
_symmetry_space_group_name_Hall 'P -4 2 3'
_cell_length_a 6.8634
_cell_length_b 6.8634
_cell_length_c 6.8634
_cell_angle_alpha 90.00
_cell_angle_beta 90.00
_cell_angle_gamma 90.00
loop_
_atom_site_label
_atom_site_fract_x
_atom_site_fract_y
_atom_site_fract_z
_atom_site_occupancy
K1 0.0000 0.0000 0.0000 1
Hf1 0.5000 0.5000 0.5000 1
Ag1 0.0000 0.5000 0.5000 1
Te1 0.2706 0.2706 0.2706 1
```

Main lines, in order of rising 2θ (2θ = 15–90°):
2θ (°), Rel. int., (hkl)
22.44, 66, 1 1 1
37.05, 100, 2 2 0
43.74, 29, 3 1 1
47.78, 17, 3 2 0
53.40, 16, 4 0 0
66.77, 30, 4 2 2